<<<
Density functional theory data (wB97M-V/def2-TZVPD) for a single C5H8N2O molecule at a distorted geometry.

```
16
Properties=species:S:1:pos:R:3:forces:R:3:lowdin_charge:R:1
C 1.813 -0.294 -0.246 -3.796 3.502 1.518 -0.1451
N 1.130 -1.334 -0.313 -0.935 -0.135 1.748 0.0198
N -0.085 -1.512 0.469 -1.363 -5.079 -3.153 -0.0229
C -1.146 -0.538 0.499 -0.196 3.263 1.830 -0.2914
C -2.305 0.108 -0.388 5.057 2.144 5.860 0.0274
C -0.819 0.547 -0.432 1.317 1.782 0.723 -0.2704
C 0.117 1.659 0.182 -1.311 -0.404 -5.221 -0.1403
O 1.489 1.093 0.240 -0.574 -1.570 -1.249 -0.1180
H 2.757 -0.221 -0.586 3.078 -0.060 -1.288 0.0820
H -0.433 -2.460 -0.086 0.817 2.929 2.502 0.1816
H -1.479 0.069 1.597 1.762 -2.558 -2.573 0.1958
H -3.040 0.486 0.298 0.040 0.658 0.011 0.0899
H -2.684 -0.306 -1.142 -2.649 -3.381 -6.342 0.0035
H -0.095 0.329 -1.284 -2.238 -0.679 0.363 0.1469
H -0.168 2.559 -0.661 2.036 -1.714 2.731 0.1778
H -0.048 1.833 1.170 -1.043 1.305 2.541 0.0636
```
Positions in Å, forces in eV/Å.

The strongest force on any atom is 8.03 eV/Å. For the orbital gap, the calculation gives 0.370 hartree. The energy relative to the best compared isomer or geometry (same formula, charge and spin) comes out at 174.88 kcal/mol.

~~~~~

71
Properties=species:S:1:pos:R:3:forces:R:3:lowdin_charge:R:1 method="wB97M-V/def2-TZVPD" charge=+1 lumo_energy_ev=-3.19 e_above_lowest_ev=0.0000 e_tot_ev=-32323.7051 homo_energy_ev=-12.39 homo_lumo_gap_ev=9.20
Sr -0.643 -0.048 -0.613 -0.34 0.31 -0.73 1.5508
N -2.548 0.531 -2.437 6.50 -1.24 2.89 -0.5554
O -2.775 1.261 -1.450 -2.72 1.16 0.64 -0.1075
O -2.536 -0.719 -2.238 -2.47 -1.25 -0.45 -0.1414
O -1.599 0.908 -3.144 -0.63 1.24 -2.78 -0.0471
C -3.831 0.682 2.845 -0.11 0.80 0.80 -0.0567
C -2.987 0.486 1.565 -0.79 1.59 -0.15 -0.2571
N -2.085 -0.668 1.500 -0.28 0.08 0.38 -0.2674
C -2.858 -1.913 1.660 -3.53 0.90 0.49 -0.2665
C -3.762 -2.122 0.495 1.45 0.44 -3.01 -0.0769
C -1.219 -0.637 2.646 1.26 -1.07 1.28 -0.2778
C -0.017 -1.495 2.318 -1.21 -0.86 0.96 -0.0775
H -4.611 -0.036 3.055 0.27 -0.89 -0.06 0.0677
H -4.500 1.552 2.809 0.65 0.34 -0.57 0.0872
H -3.232 0.851 3.785 -0.41 -0.41 -1.03 0.0967
H -2.384 1.376 1.435 0.87 0.36 0.73 0.0885
H -3.511 0.697 0.628 -0.77 -1.20 0.20 0.0990
H -3.618 -1.710 2.480 1.33 -0.54 -0.22 0.1294
H -2.423 -2.865 1.861 1.48 -0.07 0.38 0.1136
H -4.422 -1.275 0.361 -0.90 -0.38 0.28 0.0792
H -4.172 -3.127 0.462 -0.58 0.26 0.18 0.0938
H -3.173 -2.004 -0.478 -0.51 -0.53 1.10 0.0666
H -1.760 -0.916 3.550 -0.04 -0.82 0.04 0.1300
H -0.787 0.257 3.036 -0.12 1.76 -0.85 0.1085
H -0.310 -2.527 2.159 0.07 -0.14 -0.39 0.0818
H 0.658 -1.519 3.139 0.87 0.16 0.56 0.0909
H 0.453 -1.079 1.456 0.74 0.04 -0.56 0.0022
C -0.313 -3.416 -0.759 -0.02 0.24 0.64 -0.0558
C 1.152 -2.897 -0.650 -1.87 0.57 -0.78 -0.2372
N 1.323 -1.643 -1.410 -1.45 0.65 1.24 -0.3063
C 1.191 -1.895 -2.842 -0.25 1.26 -0.95 -0.2318
C 1.590 -0.693 -3.727 -0.07 -1.59 -0.02 -0.0422
C 2.559 -0.934 -1.029 -0.38 -0.26 -2.36 -0.2472
C 3.743 -1.779 -1.462 0.57 -0.72 0.17 -0.0554
H -0.294 -4.437 -0.316 -0.33 0.43 -0.86 0.1046
H -0.748 -3.323 -1.795 0.65 -0.66 1.13 0.0963
H -1.011 -2.882 -0.101 0.08 0.20 -0.02 0.0222
H 1.671 -3.683 -1.133 1.33 -0.79 -0.20 0.0988
H 1.483 -2.732 0.374 -0.04 -0.30 -0.02 0.1142
H 0.187 -2.232 -3.151 0.17 0.42 0.56 0.1190
H 1.815 -2.713 -3.109 0.86 -0.90 -0.31 0.1078
H 1.638 -1.073 -4.746 -0.40 0.31 -0.16 0.0987
H 2.576 -0.378 -3.518 1.23 0.23 0.26 0.0484
H 0.988 0.181 -3.644 -0.96 0.48 -0.08 0.0495
H 2.561 -0.640 0.007 -0.02 -0.61 0.56 0.0784
H 2.545 0.054 -1.546 0.19 -0.71 0.17 0.1020
H 4.583 -1.204 -1.151 1.24 -0.19 0.63 0.0710
H 3.941 -1.926 -2.533 -0.76 0.43 0.07 0.0869
H 3.724 -2.837 -1.070 0.21 1.36 0.13 0.1037
C 2.213 0.986 2.084 0.99 -0.27 1.86 -0.0680
>>>
Could you give back the lines further up up to the one that holds "0.0885", that line included?
Density functional theory data (wB97M-V/def2-TZVPD) for a single C5H8N2O molecule at a distorted geometry.

```
16
Properties=species:S:1:pos:R:3:forces:R:3:lowdin_charge:R:1
C 1.813 -0.294 -0.246 -3.796 3.502 1.518 -0.1451
N 1.130 -1.334 -0.313 -0.935 -0.135 1.748 0.0198
N -0.085 -1.512 0.469 -1.363 -5.079 -3.153 -0.0229
C -1.146 -0.538 0.499 -0.196 3.263 1.830 -0.2914
C -2.305 0.108 -0.388 5.057 2.144 5.860 0.0274
C -0.819 0.547 -0.432 1.317 1.782 0.723 -0.2704
C 0.117 1.659 0.182 -1.311 -0.404 -5.221 -0.1403
O 1.489 1.093 0.240 -0.574 -1.570 -1.249 -0.1180
H 2.757 -0.221 -0.586 3.078 -0.060 -1.288 0.0820
H -0.433 -2.460 -0.086 0.817 2.929 2.502 0.1816
H -1.479 0.069 1.597 1.762 -2.558 -2.573 0.1958
H -3.040 0.486 0.298 0.040 0.658 0.011 0.0899
H -2.684 -0.306 -1.142 -2.649 -3.381 -6.342 0.0035
H -0.095 0.329 -1.284 -2.238 -0.679 0.363 0.1469
H -0.168 2.559 -0.661 2.036 -1.714 2.731 0.1778
H -0.048 1.833 1.170 -1.043 1.305 2.541 0.0636
```
Positions in Å, forces in eV/Å.

The strongest force on any atom is 8.03 eV/Å. For the orbital gap, the calculation gives 0.370 hartree. The energy relative to the best compared isomer or geometry (same formula, charge and spin) comes out at 174.88 kcal/mol.

~~~~~

71
Properties=species:S:1:pos:R:3:forces:R:3:lowdin_charge:R:1 method="wB97M-V/def2-TZVPD" charge=+1 lumo_energy_ev=-3.19 e_above_lowest_ev=0.0000 e_tot_ev=-32323.7051 homo_energy_ev=-12.39 homo_lumo_gap_ev=9.20
Sr -0.643 -0.048 -0.613 -0.34 0.31 -0.73 1.5508
N -2.548 0.531 -2.437 6.50 -1.24 2.89 -0.5554
O -2.775 1.261 -1.450 -2.72 1.16 0.64 -0.1075
O -2.536 -0.719 -2.238 -2.47 -1.25 -0.45 -0.1414
O -1.599 0.908 -3.144 -0.63 1.24 -2.78 -0.0471
C -3.831 0.682 2.845 -0.11 0.80 0.80 -0.0567
C -2.987 0.486 1.565 -0.79 1.59 -0.15 -0.2571
N -2.085 -0.668 1.500 -0.28 0.08 0.38 -0.2674
C -2.858 -1.913 1.660 -3.53 0.90 0.49 -0.2665
C -3.762 -2.122 0.495 1.45 0.44 -3.01 -0.0769
C -1.219 -0.637 2.646 1.26 -1.07 1.28 -0.2778
C -0.017 -1.495 2.318 -1.21 -0.86 0.96 -0.0775
H -4.611 -0.036 3.055 0.27 -0.89 -0.06 0.0677
H -4.500 1.552 2.809 0.65 0.34 -0.57 0.0872
H -3.232 0.851 3.785 -0.41 -0.41 -1.03 0.0967
H -2.384 1.376 1.435 0.87 0.36 0.73 0.0885